1 Introduction

THz time-domain spectroscopy (THz-TDS) has proven to be a particularly well-suited technique to investigate the morphology of many non-polar materials [1, 2]. By exploiting absolute values of distinct absorption lines, it is possible to distinguish between different crystalline forms of a given material, to observe polymorphism, and to investigate phase changes [3]. Polymers typically show a very low absorption in the THz frequency range, which is the reason for their widespread use as base material for windows, lenses, and other optical parts for THz systems [4]. Although the absorption spectra of many polymers have therefore been extensively studied [5, 6], and often the corresponding weak absorption features have been assigned to corresponding molecular vibrations [7], the absolute values of these features are typically so low that the complex part of the complex permittivity ∈ ′ ′ is often the better suited parameter for morphological investigations in polymers [8,9]. Only in some few cases, mainly for highly crystalline polymers, attempts have been made to exploit these features, to obtain an estimation of the degree of crystallinity of the sample [8, 9]. Earlier work focuses on the variable absorption features during isothermal crystallization of natural existing polyester [10].

Also pharmaceutical and chemical science focuses on the crystallinity of various materials [1113].

One of the most widespread used, petrochemical synthesized polymeric materials for THz applications is high density polyethylene (PE-HD). Thus, PE-HD has been extensively investigated at THz frequencies, and different absorption features were assigned to corresponding molecular motions [14].

The advantage of THz technologies, compared to commonly used technique to determine the degree of crystallinity, like DSC-analysis, is its suitability for contact-free, non-destructive testing of polymers, and their vibration modes [15, 16]. Therefore, changes in the crystallinity, which might occur on a rather longer time frame, can be easily determined, even if the sample is integrated in bigger dimensions.

2 Background

Polymers consist of macromolecular chains of covalently bonded atoms. As well as metals and ceramics also polymers have the potential to crystallize, provided that they have a linear or only lightly crosslinked/branched architecture and regular chemical constitution [17, 18]. However, polymers cannot fully crystallize, but form two phase materials with crystalline regions embedded in an amorphous matrix. Especially when the amorphous phase is in the rubbery state, the mechanical properties strongly depend on the crystal fraction. The degree of crystallization of a semi-crystalline polymer depends initially on the amount of constitutional imperfections and entanglements, but is also affected significantly by its thermal history (e.g., crystallization temperature, cooling rate, etc.). Therefore, it is necessary to control the degree of crystallinity after polymer processing. Degrees of crystallinity typically range between 5 and 80 % and are routinely evaluated by density measurement, differential scanning calorimetry (DSC), X-ray diffraction (XRD), infrared spectroscopy, or nuclear magnetic resonance (NMR). All the mentioned techniques have disadvantages. Some, like DSC, destroy the sample; others are only surface-sensitive (IR-spectroscopy) or use hazardous x-ray to determine the degree of crystallinity. All techniques have in common that they are time consuming.

One of the simplest polymers is polyethylene (PE), which consists of long chains of CH2-repeating units [19]. PE exhibits three types of crystal unit cells, of which the orthorhombic cell (a = 0.417 nm, b = 0.4945 nm, c = 0.2547 nm) is the most common. The physical properties of PE depend on amount and length of branches along the macromolecular backbone and molecular weight. High density polyethylene (PE-HD) has a molecular weight of an average 35,000 g mol−1 and contains only few branches. Thus, it is the most crystalline PE with degrees of crystallization, varying between 50 and 80 % depending on the crystallization conditions.

Especially, PE-HD, with its low absorption coefficient in the THz frequency range, represents an important polymer material, because commonly used THz optics, like lenses or special cuvettes for investigating the THz-properties of inserted liquids, are made of PE-HD. So, it is important to study the changes in THz-properties of PE-HD originate from different degrees of crystallinity.

2.1 THz Data Extraction

In this study, we compare minor changes in the absolute value of the optical parameters, that is way it is important to determine precisely and accurately the values of the frequency-dependent refractive index. Therefore, the quasi space algorithm, described in [20], is used for the data analysis: we used the improved algorithm of the commercial available TeraLyzer software [21], which exploits the Fabry-Perot oscillations in plane-parallel samples, to determine the precise thickness of the sample, and thus, accurate values for the complex permittivity \( \underline{\in}=\in^{\prime }-i\in^{\prime\prime } \), and the linked complex refractive index \( \underline{n}=n-i\kappa =\sqrt{\underline{\in}} \). This well-known complex algorithm fits a theoretical transfer function with the unknown parameters n, α, and the thicknesses to the transfer function of the recorded THz signal and minimizes the difference by a multitude of iterations [2224].

The absorption coefficient \( \alpha \) and the extinction coefficient \( \kappa \), respectively, can be determined by using the imaginary part ∈ ′ ′ of the permittivity, considering the frequency \( f \) and the speed of light \( {c}_0 \):

$$ {\in}^{\prime \prime }=2n\kappa $$
$$ a=\frac{4\pi f}{c_o}\kappa $$

The frequency-dependent error bars, based on the algorithm described in [25], are achieved by using the TeraLyzer software. The sample thickness, obtained by the TeraLyzer software, is in good agreement with the mechanical measured thickness with a micrometer screw, so the general uncertainty is about ±2 μm.

In general, the absorption coefficient \( \alpha \) increases in a rough approximation with f 2 for amorphous materials [26, 27], as the extinction coefficient κ (or the related imaginary part of the permittivity, ∈ ′ ′) is linearly related to the frequency. For semi-crystalline polymers, like PE-HD, the absorption effects, depending on the amorphous and crystalline phase, both contribute to the absorption spectra [28]. Thus, spectral features that are characteristic for crystalline samples, like distinct absorption peaks resulting from lattice vibrations of the polymer backbone in a crystal structure, are easier to identify in the spectra of κ or ∈ ′ ′, respectively. As different definitions of \( \kappa \) can be typically found in literature, it might not be the best suited candidate for a comprehensive study. Hence, for the following analysis, we restrict ourselves to n- and ∈ ′ ′-spectra.

3 Experimental Methods

3.1 Sample Preparation

Starting from the GGA-PBE geometry in Alexandria, the PXRD pattern of Er5Ag2Pd12 was simulated for λ = 1.5418 Å (Cu Kα).
Kinematic intensities with the Lorentz-polarization factor, no thermal factor.

Peak list (8 most intense, 2θ from 10° to 90°, sorted by position)
2theta  d [Å]  I_rel  hkl
24.92  3.572  470  1 1 -2
35.92  2.500  750  6 0 0
36.72  2.447  417  5 1 -3
37.73  2.385  1000  2 2 -2
38.56  2.335  494  2 0 -4
40.61  2.222  590  4 2 -2
42.30  2.137  527  0 0 4
43.31  2.089  823  2 2 2

```
data_Er5Ag2Pd12
_space_group_name_H-M_alt 'C 1 2/m 1'
_space_group_IT_number 12
_cell_length_a 16.5868
_cell_length_b 5.5472
_cell_length_c 9.4533
_cell_angle_alpha 90.00
_cell_angle_beta 115.25
_cell_angle_gamma 90.00
loop_
_space_group_symop_operation_xyz
'x,y,z'
'-x,-y,-z'
'-x,y,-z'
'x,-y,z'
'x+1/2,y+1/2,z'
'-x+1/2,-y+1/2,-z'
'-x+1/2,y+1/2,-z'
'x+1/2,-y+1/2,z'
loop_
_atom_site_label
_atom_site_type_symbol
_atom_site_fract_x
_atom_site_fract_y
_atom_site_fract_z
Er1 Er 0.0000 0.0000 0.0000
Er2 Er 0.1534 0.5000 0.3719
Er3 Er 0.1834 0.5000 0.8731
Ag1 Ag 0.0000 0.2504 0.5000
Pd1 Pd 0.0115 0.5000 0.8651
Pd2 Pd 0.1080 0.0000 0.8110
Pd3 Pd 0.1573 0.2497 0.1082
Pd4 Pd 0.1873 0.2377 0.6285
```

***

Starting from the GGA-PBE geometry in Alexandria, the PXRD pattern of SrPa2As4 was simulated for λ = 1.5418 Å (Cu Kα).
Kinematic intensities with the Lorentz-polarization factor, no thermal factor.

Peak list (8 most intense, 2θ from 10° to 90°, sorted by position)
2theta  d [Å]  I_rel  hkl
14.29  6.196  220  1 0 1
24.88  3.579  695  1 1 2
32.25  2.776  914  3 1 0
32.36  2.767  369  1 0 3
38.41  2.343  1000  3 2 1
46.28  1.962  288  4 0 2
48.71  1.869  281  3 2 3
65.58  1.424  286  5 3 2

```
data_SrPa2As4
_space_group_name_H-M_alt 'I -4 2 d'
_space_group_IT_number 122
_space_group_name_Hall 'I -4 2bw'
_cell_length_a 8.7786
_cell_length_b 8.7786
_cell_length_c 8.7467
_cell_angle_alpha 90.00
_cell_angle_beta 90.00
_cell_angle_gamma 90.00
loop_
_atom_site_label
_atom_site_type_symbol
_atom_site_fract_x
_atom_site_fract_y
_atom_site_fract_z
Sr1 Sr 0.0000 0.0000 0.0000
Pa1 Pa 0.1354 0.2500 0.6250
As1 As 0.0810 0.1615 0.3120
```

***

Starting from the GGA-PBE geometry in Alexandria, the PXRD pattern of KGeCl5 was simulated for λ = 1.5418 Å (Cu Kα).
Kinematic intensities with the Lorentz-polarization factor, no thermal factor.

Peak list (8 most intense, 2θ from 10° to 90°, sorted by position)
2theta  d [Å]  I_rel  hkl
14.32  6.183  639  1 1 0
16.91  5.242  736  0 1 1
17.91  4.953  1000  0 2 0
18.22  4.870  787  1 0 1
22.47  3.957  533  2 0 0
25.65  3.473  554  1 2 1
34.21  2.621  566  0 2 2
37.05  2.426  336  3 0 1

```
data_KGeCl5
_space_group_name_H-M_alt 'I m m 2'
_space_group_IT_number 44
_cell_length_a 7.9141
_cell_length_b 9.9068
_cell_length_c 6.1781
_cell_angle_alpha 90.00
_cell_angle_beta 90.00
_cell_angle_gamma 90.00
loop_
_space_group_symop_operation_xyz
'x,y,z'
'-x,-y,z'
'-x,y,z'
'x,-y,z'
'x+1/2,y+1/2,z+1/2'
'-x+1/2,-y+1/2,z+1/2'
'-x+1/2,y+1/2,z+1/2'

As the spectroscopic features, investigated in this study, are generally very weak, it is of outmost importance, to avoid any artifacts resulting from different fabrication processes in different material samples. Thus, Lupolen 6021D, a high density polyethylene kindly supplied by Basell Polyolefine GmbH, was exclusively used for sample preparation. The polyethylene pellets were heated to a temperature of 160 °C, pressed to sheets of about 1 mm thickness, and subsequently crystallized under certain crystallization conditions, to gain samples having different degrees of crystallinity. The samples PE-HD 0 and PE-HD 1 were quenched from melt in water at 20 and 0 °C, respectively, whereby, the sample PE-HD 2 was isothermally crystallized at 100 °C and the sample PE-HD 3 was exponentially cooled from melt to 20 °C.

3.2 Terahertz Time-Domain Spectrometer Setup

A standard free-space THz-TDS system, purged with dry air, was used in transmission geometry to investigate the PE-HD samples. A TiSa with 60 fs pulses at 800 nm was used to drive and gate LT-GaAs stripline-dipole antennas. For a detailed description of such a spectrometer, see e.g., [29]. The four PE-HD samples were measured in the focal point of the THz-TDS system in transmission geometry. Each sample was measured six times, alternating between sample and reference (air) measurement, respectively. The recorded THz traces were averaged in order to reduce the influence of laser instability or environmental impact.

3.3 Thermal Analysis

Melting temperature T m and degree of crystallinity α cryst of the afore THz-measured samples were determined by a differential-scanning calorimeter DSC 2910 (TA Instruments, Inc.) using a temperature ramp of 10 K min−1. To this end, DSC samples with weights ranging from 10 to 20 mg were prepared from the THz spot area. Melting point T m was obtained from the peak minimum of the heat flow (exo-up). The degree of crystallinity was calculated from the heat of fusion ΔH f , as determined by integration of the melting peak, by putting into relation to the equilibrium heat of fusion ΔH 0 f  = 289 J g−1of 100 % crystalline polyethylene [30, 31]:

$$ {a}_{\mathrm{cryst}}=\frac{\varDelta {H}_f}{\varDelta {H}_f^0}\cdot 100\kern0.5em \% $$

The absolute uncertainty of a cryst is about 1.25 %, basing on the standard deviation of the measurement. The preparation-specific properties of the as-prepared samples are listed in Table 1.

Table 1 Overview of preparation-specific properties of PE-HD samples

4 Results and Discussion

The extracted values of the refractive index n are shown in Fig. 1 for all four samples. In general, only a low dispersion of the refractive index, with respect to frequency, can be observed, i.e., the refractive index is almost constant in the frequency range between 0.5 and 3.5 THz.

Fig. 1
figure 1

Frequency-depending refractive index of all investigated PE-HD samples

The PE-HD sample with the lowest degree of crystallinity (54.3 %) shows the lowest refractive index, and the refractive index of the other samples increases accordingly to their degree of crystallinity. The PE-HD sample with a crystallinity of 69.1 % shows the highest value for the index of refraction. Commonly, the crystallinity directly correlates with the density and thus with the refractive index. Effects caused by impurities or additives, which could lead to a higher refractive index, can be neglected, because all samples were produced of the same raw material. As well influences of air bubbles could be excepted, because these would lead to an increase in scattering, which would then be visible in the spectra by its characteristic features, but none obvious evidences could be observed in the spectra.

For evaluating the correlation between the refractive index and the crystallinity, the frequency-dependent values are averaged over the range from 0.5 up to 3.0 THz. These absolute values are shown in Table 2.

Table 2 Degree of crystallization and refractive index averaged between 0.5 up to 3.0 THz. Also given is the standard deviation of the mean, weighted by the frequency-depended errors obtained from the TeraLyzer software [21]

Graphing these averaged values of refractive index against the degree of crystallinity suggests a linear correlation between the absolute values of the refractive index and the crystallinity. Figure 2 illustrates the data points and the dashed line shows the linear fit, performed by using the commercial software Matlab with the included curve fitting toolbox for linear regression. The fit matches with a coefficient of determination (R-square parameter) of 0.97 to the data.

Fig. 2
figure 2

Linear approximation of the averaged refractive index values listed in Table 2

By measuring the accurate absolute value of the refractive index in the THz frequency range, it is possible to obtain a first preliminary indication of the degree of crystallinity of a sample, by comparing the results to an entry in a database for a sample with comparable fabrication conditions.

In the representation of the frequency-depending imaginary part of the permittivity ∈ ′ ′ (see Fig. 3), which is directly linked to the absorption coefficient, a characteristic absorption peak at 2.23 THz is observed. This peak appears more or less distinct in the spectrum of each of the four samples. The molecular origin of this feature has been assigned in literature as lattice vibration of the PE-HD molecules [32, 33].

Fig. 3
figure 3

Frequency-depended imaginary part ∈ ′ ′ of the permittivity of the PE-HD sample 2. A peak at 2.23 THz is observed that can be assigned to a lattice vibration of the PE-HD crystals. Integration limits and peak are marked

In contrast to the data for the refractive index, no general trend, relating the absolute values with the degree of crystallinity, can be observed. This is also in contrast to earlier work, where the absolute value of a dominant absorption line had been exploited to determine the crystallinity of the highly crystalline polybutylene terephthalate (PBT) [9]. However, the morphology of PBT and PE-HD is different. The lattice vibration strongly depends on the spatial conformation of the PE-HD crystals. Size, orientation, and morphology of the lamellae seem to influence both the quantity and the width of the peak. However, there are clear differences in the morphological structure of the PBT and PE-HD, which are mainly due to the thermal treatment during the crystallization process. Whereas in PBT, the crystallization is obtained by tempering the samples at temperatures above the specific glass-transition temperature, the dominating effect for achieving different crystallinity states in PE-HD is the thermal treatment of the polymer melt during the cool down process.

These processes lead to different morphologies of the sample. In particular, there can be a formation of many small crystalline domains or just a few large domains. In this case, most established methods would still measure the same amount of crystallinity, not taking into account these differences in the supramolecular structure. By just exploiting the information of the absolute value of the peak maximum of the absorption line, seen in Fig. 3 for PE-HD sample 2, the spectral response of other morphological characteristics, such as peak broadening, is neglected.

Respecting to the fact that neither the peak maxima nor the FWHM of all peaks seems to correlate alone with the degree of crystallinity, our new approach uses a peak-integration, which is well known in electronic signal processing.

Peak-integration can be an attempt to consider both, the quantity and width of the peak in the ∈ ′ ′-spectra in full. Therefore, we propose integrating the peak using a zero-baseline in order to compare the absorption effects of all samples by taking into account all different absorption phenomena caused by different molecule structures. The integration limits are given by the points of inflection left and right of the central peak at about 2.2 THz. These points are determined by numerical calculation the zeroing of the second derivation with the software Matlab. Afterwards, the integration was performed with the peak-analyzer tool. For clarification, Fig. 3 points out the presented analysis method, and visualizes the integrated range of the ∈ ′ ′-peak, exemplarily for PE-HD sample 2.

The resulting peak-area-values show a linear correlation between area and degree of crystallinity as it had been seen in the case of the refractive index. Figure 4 shows the total values of the peak area with respect to the degree of crystallinity of all samples. The quality of regression is optimized by considering the standard derivation of the area-values. The R-square parameter is about 0.92, so there is a good agreement between the peak-integration results and the degree of crystallinity.

Fig. 4
figure 4

Area of the ∈ ′ ′-peak subjected to the degree of crystallinity of each PE-HD sample

5 Summary and Outlook

We have shown that the index of refraction can be used to distinguish samples of PE-HD with differences in the degree of crystallinity. If the samples have been prepared of the same batch of raw material, it is even possible to use the refractive index as a parameter to obtain an estimate of the value of the degree of crystallinity. Whereas the local maxima of the complex part of the permittivity, \( \epsilon^{\prime\prime } \), which originates from lattice vibration of the crystalline parts of the polymer has previously been used to differentiate between samples of different crystallinity, we observe that in the case of PE-HD, this is not possible. However, by considering not only the maximum value of the peak in the ∈ ′ ′-spectrum, but also the signal area using a peak-integration, the linear correlation, which had been seen for the refractive index, can be confirmed.

In the future, it will be interesting to evaluate the impact of the crystalline domains and their influence to the spectral features. Likewise, THz-TDS imaging combined with the here presented correlations could be a suitable approach to investigate the spatial intra-sample variability of the crystallinity.